== Material ==
+++
47
Properties=species:S:1:pos:R:3:forces:R:3:nbo_charge:R:1 method="wB97M-V/def2-TZVPD" total_energy_ha=-6760.95226 charge=+2 max_force_ev_per_a=0.50 e_above_lowest_kcal_mol=0.0 orbital_gap_ha=0.15496 e_lumo_ev=-9.376
Pb 0.0362 -1.6210 -1.1334 -0.08 0.27 0.13 1.29
O -2.4828 1.8699 0.6119 0.00 0.04 -0.14 -1.01
As -0.7688 1.9140 0.2725 0.13 -0.30 0.29 2.47
O 0.0753 2.5960 1.4731 0.08 0.19 -0.14 -1.11
O -0.3265 0.3883 -0.2121 -0.29 0.11 -0.18 -1.29
C -0.6605 3.0901 -1.3172 -0.23 -0.11 -0.29 -0.19
C 0.0855 4.2071 -1.1871 0.06 -0.05 0.13 -0.30
C 0.1339 5.1627 -2.2360 -0.06 -0.02 -0.02 0.18
C -0.6037 5.0474 -3.4330 0.03 0.17 -0.05 -0.31
C -1.3440 3.9398 -3.6301 -0.02 -0.16 -0.02 0.06
C -1.4128 2.8229 -2.6184 0.11 0.08 0.48 0.42
S -2.6215 1.0487 -3.2584 0.01 -0.37 -0.09 1.77
O -2.7671 2.4627 -2.3716 0.02 0.15 -0.01 -0.65
O -2.6854 -0.0899 -2.3980 0.04 0.18 0.03 -0.83
O -1.0200 1.6078 -3.2493 0.02 0.12 -0.03 -0.66
H -2.6764 2.5255 1.2990 0.00 -0.04 0.01 0.51
H 0.6225 4.3878 -0.2620 0.01 0.01 0.00 0.29
H 0.7582 6.0407 -2.0999 -0.01 0.00 0.01 0.26
H -0.5647 5.8359 -4.1716 0.05 -0.02 -0.01 0.28
H -1.8972 3.7787 -4.5495 -0.04 -0.02 0.03 0.25
I 2.8419 -3.6154 -1.4286 0.06 -0.04 0.05 0.26
C 3.2055 -2.0003 -0.1466 -0.09 -0.07 0.01 0.09
C 4.4887 -1.7657 0.3137 0.00 -0.01 0.00 -0.27
C 4.6829 -0.6960 1.1727 0.03 -0.02 0.01 -0.11
C 3.5989 0.0891 1.5364 -0.02 0.01 0.01 -0.23
C 2.3546 -0.2190 1.0248 -0.03 0.02 -0.06 0.04
N 2.1550 -1.2530 0.1912 0.07 -0.05 -0.11 -0.58
H 5.3062 -2.4015 0.0074 0.00 0.00 0.01 0.26
H 5.6729 -0.4842 1.5544 0.00 0.01 -0.01 0.25
H 3.7111 0.9349 2.1993 -0.01 -0.01 0.02 0.25
H 1.4809 0.3720 1.2658 0.04 0.02 0.02 0.24
C -4.0048 -0.9404 1.3229 -0.02 -0.01 0.00 -0.41
N -2.8778 -0.9458 2.2513 0.03 0.10 -0.04 -0.32
C -2.7813 -0.1929 3.3997 -0.01 -0.02 -0.03 -0.05
C -1.5972 -0.4958 3.9753 0.02 -0.02 0.01 -0.05
N -0.9852 -1.4320 3.1713 0.05 0.08 -0.01 -0.32
C 0.2959 -2.0733 3.4453 -0.01 -0.04 0.05 -0.41
+++

== To do ==
Your job: type out the block above from the first line to the one with "3.3997 -0.01" exactly.

== Result ==
47
Properties=species:S:1:pos:R:3:forces:R:3:nbo_charge:R:1 method="wB97M-V/def2-TZVPD" total_energy_ha=-6760.95226 charge=+2 max_force_ev_per_a=0.50 e_above_lowest_kcal_mol=0.0 orbital_gap_ha=0.15496 e_lumo_ev=-9.376
Pb 0.0362 -1.6210 -1.1334 -0.08 0.27 0.13 1.29
O -2.4828 1.8699 0.6119 0.00 0.04 -0.14 -1.01
As -0.7688 1.9140 0.2725 0.13 -0.30 0.29 2.47
O 0.0753 2.5960 1.4731 0.08 0.19 -0.14 -1.11
O -0.3265 0.3883 -0.2121 -0.29 0.11 -0.18 -1.29
C -0.6605 3.0901 -1.3172 -0.23 -0.11 -0.29 -0.19
C 0.0855 4.2071 -1.1871 0.06 -0.05 0.13 -0.30
C 0.1339 5.1627 -2.2360 -0.06 -0.02 -0.02 0.18
C -0.6037 5.0474 -3.4330 0.03 0.17 -0.05 -0.31
C -1.3440 3.9398 -3.6301 -0.02 -0.16 -0.02 0.06
C -1.4128 2.8229 -2.6184 0.11 0.08 0.48 0.42
S -2.6215 1.0487 -3.2584 0.01 -0.37 -0.09 1.77
O -2.7671 2.4627 -2.3716 0.02 0.15 -0.01 -0.65
O -2.6854 -0.0899 -2.3980 0.04 0.18 0.03 -0.83
O -1.0200 1.6078 -3.2493 0.02 0.12 -0.03 -0.66
H -2.6764 2.5255 1.2990 0.00 -0.04 0.01 0.51
H 0.6225 4.3878 -0.2620 0.01 0.01 0.00 0.29
H 0.7582 6.0407 -2.0999 -0.01 0.00 0.01 0.26
H -0.5647 5.8359 -4.1716 0.05 -0.02 -0.01 0.28
H -1.8972 3.7787 -4.5495 -0.04 -0.02 0.03 0.25
I 2.8419 -3.6154 -1.4286 0.06 -0.04 0.05 0.26
C 3.2055 -2.0003 -0.1466 -0.09 -0.07 0.01 0.09
C 4.4887 -1.7657 0.3137 0.00 -0.01 0.00 -0.27
C 4.6829 -0.6960 1.1727 0.03 -0.02 0.01 -0.11
C 3.5989 0.0891 1.5364 -0.02 0.01 0.01 -0.23
C 2.3546 -0.2190 1.0248 -0.03 0.02 -0.06 0.04
N 2.1550 -1.2530 0.1912 0.07 -0.05 -0.11 -0.58
H 5.3062 -2.4015 0.0074 0.00 0.00 0.01 0.26
H 5.6729 -0.4842 1.5544 0.00 0.01 -0.01 0.25
H 3.7111 0.9349 2.1993 -0.01 -0.01 0.02 0.25
H 1.4809 0.3720 1.2658 0.04 0.02 0.02 0.24
C -4.0048 -0.9404 1.3229 -0.02 -0.01 0.00 -0.41
N -2.8778 -0.9458 2.2513 0.03 0.10 -0.04 -0.32
C -2.7813 -0.1929 3.3997 -0.01 -0.02 -0.03 -0.05